“Off the Chain with Tamika” is LACBC Executive Director Tamika Butler’s monthly letter to the LACBC family. Here is the latest for February 2016.
Hey LACBC Fam,
I hope you’re enjoying February. Here at LACBC it’s been a month of loving what we do and loving our team. Some folks have noted that in some ways, February has seemed like a slow month for us and asked what we’ve been working on. Let me share a few highlights.
First, and so far the most fun highlight of the month, we celebrated thewedding of our beloved colleague, Hyeran Lee, and her fantastic love, Henry Pan, this weekend. You’ve probably seen both of them at our events as Henry, like many LACBC partners and spouses, often chips in and helps make LACBC events and programs successful. It was by far the most bikey wedding we’ve been to, and it perfectly fit these two multimodal loves. Also, Hyeran’s parents are amazing singers and dancers, and we were thrilled to spend a little time withthem. Congratulations, Hyeran and Henry!
Back in the office, we’ve been working hard to figure out our goals for the year. While yesterday we spent a day cleaning out our offices for the Great LACBC Office Clean Up, last week we had our annual LACBC staff retreat at AARP’s beautiful Pasadena offices. We discussed last year and all we accomplished, but really focused on the year ahead. This year we’ve decided as a team that we’re prioritizing:
Strengthening our branding and communications. We want to make sure LACBC continues to be an accurate, go-to location for people looking for information related to biking in Los Angeles County.
Continuing the growth of our grassroots chapter program. We’re working hard to make sure leaders who want to advocate on behalf of people who in their community have the support they need to be a strong on-the-ground presence in their locality.
Winning effective campaigns. From a potential transportation ballot measure to Mobility Plan 2035 to Vision Zero to our work in the Southeast Cities and South L.A.—we are committed to running campaigns that win. We will share our successes and make sure that people in L.A. know that people who bike are fighting to make this a better county for all Angelenos.
Being a great partner and forming sustainable partnerships. Building on a theme from last year, LACBC is striving to be reliable partner both within and outside of the bicycle community.
Making YOUR membership experience awesome! Ishraq has been on board and many of you have loved the changes he’s made (Check out the website. What about those new #bikeLA shirts?!). We’re just getting started. We want to make how your support helps LACBC and biking easier to understand and continue to bring you value and fun!
Ensuring that equity is an integral part of that we do. LACBC recognizes our role in shaping regional policy to address disparities facing historically underserved and historically neglected communities and advocates for intentional policies to address inequity. LACBC extends this commitment to equity to our own programs by intentionally prioritizing low-income communities of color for education, outreach, and advocacy resources. We further seek to engage partners and residents from these underserved communities in shaping our programs to meet their needs. We will challenge ourselves to be better allies with other historically neglected communities and groups as we fight institutional racism and discrimination to move towards building a more bikeable L.A. county. This framework is integrated into all the work we do throughout the organization.
Diversifying and growing our funding sources. In order to keep doing good work, we know we need to keep bringing in the money. We were able to double our income last year and we’re going for more this year. (You can always help sustain LACBC by joining LACBC, renewing, or spreading the word about LACBC to a friend.) Staff and board are committed to telling the story of the organization in ways that excite other people to contribute to LACBC’s work and advance our mission.
_Next to the text, the page also holds quantum chemistry results_
+++
Record 1
An isolated molecule of C21H24N4O2, computed with the ωB97M-V functional and the def2-TZVPD basis.

Computed properties:
**LUMO energy**: 0.026 hartree
**Calculated total energy**: -32222.5720 eV
**Relative energy (zero: lowest compared OMol25 entry of this formula, charge and spin)**: 1.598 eV
**SMILES**: COc1ccc(C(=O)Nc2ccc3c(c2)nc(CN2CCCC2)n3C)cc1

Structure (XYZ):
```
51
C21H24N4O2 (the ωB97M-V functional and the def2-TZVPD basis)
C -4.988 -5.458 -5.660
H -5.914 -5.877 -6.049
O -5.373 -4.374 -4.849
C -4.407 -3.648 -4.229
C -3.040 -3.896 -4.315
C -2.152 -3.083 -3.636
C -2.594 -2.027 -2.847
C -3.964 -1.774 -2.777
C -4.856 -2.571 -3.460
H -5.917 -2.380 -3.421
H -4.344 -0.930 -2.220
C -1.562 -1.198 -2.159
O -0.445 -1.060 -2.615
N -1.995 -0.650 -0.986
C -1.311 0.188 -0.097
C -0.045 0.684 -0.364
C 0.529 1.516 0.588
N 1.745 2.144 0.583
C 1.816 2.810 1.702
N 0.700 2.658 2.487
C -0.152 1.839 1.785
C -1.419 1.342 2.045
C -1.981 0.519 1.094
H -2.970 0.115 1.266
H -1.957 1.582 2.951
C 0.427 3.271 3.756
H 0.179 4.330 3.636
H 1.290 3.183 4.418
H -0.418 2.765 4.218
C 3.027 3.585 2.121
N 4.138 2.750 2.533
C 3.882 1.865 3.654
C 5.063 0.906 3.600
H 4.902 0.004 4.188
H 5.960 1.411 3.959
C 5.173 0.633 2.100
H 4.481 -0.161 1.816
H 6.177 0.335 1.804
C 4.745 1.959 1.459
H 5.604 2.519 1.075
H 4.040 1.792 0.639
H 3.844 2.444 4.582
H 2.940 1.299 3.550
H 3.369 4.184 1.274
H 2.782 4.257 2.948
H 0.476 0.434 -1.271
H -2.921 -0.913 -0.681
H -1.090 -3.259 -3.707
H -2.658 -4.710 -4.909
H -4.460 -6.224 -5.082
H -4.359 -5.132 -6.494
```

Record 2
A structure of composition C27H31BN11OPtSSe, computed with the ωB97M-V functional and the def2-TZVPD basis.

Computed properties:
**LUMO energy (spin up / spin down)**: -0.312 / -0.323 hartree
**Calculated total energy**: -127030.4479 eV
**Relative energy (zero: lowest compared OMol25 entry of this formula, charge and spin)**: 2.952 eV
**Total charge**: +2
**2S+1**: 2

Structure (XYZ):
```
74
C27H31BN11OPtSSe (the ωB97M-V functional and the def2-TZVPD basis)
Pt -0.858 -1.216 0.696
C -0.719 0.916 3.631
C -0.221 1.434 2.328
C 0.360 2.670 2.067
C 0.619 2.676 0.712
N 0.219 1.515 0.188
N -0.328 0.754 1.172
B 0.205 1.057 -1.292
N -1.267 0.782 -1.658
C -2.107 1.311 -2.569
C -3.332 0.714 -2.447
C -3.189 -0.203 -1.406
C -4.239 -1.101 -0.882
N -1.942 -0.149 -0.927
N 0.992 -0.291 -1.376
C 2.116 -0.583 -2.036
C 2.424 -1.919 -1.837
C 1.408 -2.422 -1.020
C 1.211 -3.804 -0.506
N 0.548 -1.424 -0.775
N 0.922 2.073 -2.162
C 0.628 2.717 -3.323
C 1.695 3.493 -3.673
C 2.648 3.270 -2.663
C 4.009 3.878 -2.569
N 2.193 2.412 -1.762
H -0.928 1.745 4.303
H 0.023 0.279 4.112
H -1.639 0.351 3.495
H 0.559 3.454 2.777
H 1.055 3.434 0.086
H -1.817 2.092 -3.240
H -4.217 0.910 -3.026
H -5.185 -0.890 -1.376
H -4.381 -0.978 0.190
H -3.986 -2.140 -1.089
H 2.607 0.172 -2.626
H 3.239 -2.476 -2.267
H 1.360 -4.525 -1.309
H 0.205 -3.932 -0.109
H 1.921 -4.026 0.289
H -0.291 2.589 -3.855
H 1.783 4.129 -4.536
H 4.146 4.622 -3.350
H 4.790 3.126 -2.693
+++
Bringing YOU the best events. We know everyone isn’t into to wonky policy. And that’s okay. We’re still fighting for you. But we’re also having fun with you. We’re going to continue to upthe quality of our events and we want you to hang out and have fun with us. Start now by joining Team LACBC on Climate Ride this May or registering for the 16th Annual L.A. River Ride benefitting LACBC.
As you can see, we have big ambitions for the year ahead. Serving our members is at the center of all we do. If you have thoughts, suggestions, concerns, or ideas, I’m also here. Send me an email, give me a call, or stop by. I’m here for you.
Ride on! Ride on!
Tamika Butler LACBC Executive Director tamika@la-bike.org